# Input
<<<
# 1
9
Properties=species:S:1:pos:R:3 method="wB97M-V/def2-TZVPD" total_charge=0 smiles="CS(=S)#[SH]=O" orbital_gap_ev="7.74 / 7.74" e_homo_ev="-8.59 / -8.59" e_above_lowest_kj_mol=188.1
S -0.47 -1.37 1.16
H 1.13 1.33 -1.66
S -0.82 0.11 -0.78
H -1.81 -1.88 1.31
O -0.66 -0.28 2.19
H 1.60 -0.41 -1.43
H 1.45 0.55 -0.05
C 0.99 0.35 -0.94
S -1.42 1.61 0.22

# 2
261
Properties=species:S:1:pos:R:3 method="wB97M-V/def2-TZVPD" total_charge=+5 orbital_gap_ev=9.63 e_homo_ev=-18.16 e_above_lowest_kj_mol=78.4
H -2.28 -7.27 -17.02
C 10.37 -9.46 -7.68
H 9.82 -7.03 -21.88
H 0.88 -5.28 -15.14
H 5.28 -12.83 -13.50
H 8.06 -15.93 -6.29
C -1.22 -11.88 -13.99
H 6.10 -7.56 -16.50
H 1.03 -5.06 -17.79
H 5.06 -14.80 -8.14
H 2.57 -19.79 -8.45
H 7.03 -13.00 -15.15
H 15.08 -5.75 -15.80
C 6.50 -6.80 -15.82
C 8.16 -5.03 -10.56
H 4.78 -5.96 -5.94
C 1.25 -6.10 -9.35
F 4.97 -7.51 -12.45
C -3.57 -5.22 -15.42
H 13.25 -5.81 -17.56
C 8.17 -13.80 -10.60
C 10.90 -9.45 -11.74
H 9.25 -13.41 -5.22
F 3.67 -8.60 -10.52
H 3.02 -4.88 -10.84
H 12.55 -6.11 -21.02
C 2.43 -3.87 -16.62
H 2.82 -17.27 -7.51
H 9.22 -7.04 -15.66
C 4.93 -6.56 -6.84
C 10.25 -7.30 -19.89
H 8.36 -4.37 -9.72
H 7.77 -4.98 -16.02
H 2.42 -13.79 -7.00
H 10.70 -10.26 -12.44
H 3.51 -8.11 -6.74
H 6.29 -3.57 -8.79
H 7.00 -8.03 -11.72
C 11.96 -6.61 -21.78
H 9.41 -12.31 -10.06
H 10.04 -14.89 -5.74
H 5.47 -2.88 -11.71
H 1.00 -2.63 -9.24
C 6.88 -4.48 -11.41
C 8.04 -15.13 -5.55
H 4.79 -8.34 -5.55
H 0.94 -6.74 -10.18
H 12.27 -1.07 -19.52
O -0.82 -6.83 -11.61
C 5.41 -5.92 -15.29
H -0.87 -12.50 -13.17
H 9.75 -10.34 -5.75
H -3.42 -4.29 -15.97
H 8.25 -15.65 -4.62
H 3.32 -8.30 -19.28
H 1.84 -4.99 -12.13
C 10.52 -8.03 -12.05
H 11.00 -7.55 -12.91
H 10.90 -9.94 -8.50
H 1.17 -18.96 -6.74
C -0.33 -4.60 -10.53
H 0.61 -6.12 -8.47
H 5.31 -11.48 -10.00
C 8.85 -6.76 -16.65
H 0.04 -7.99 -14.05
C 1.33 -3.63 -8.97
H 6.86 -2.33 -10.91
H 3.81 -3.64 -18.29
H 4.77 -5.69 -16.15
C 4.07 -13.26 -9.39
C 7.99 -8.00 -11.27
H -0.93 -4.65 -9.62
H 11.93 -9.33 -11.43
H 4.03 -13.10 -6.49
H 7.33 -11.13 -13.79
H 2.44 -15.61 -2.68
H 11.01 -0.49 -20.54
H 5.76 -14.45 -12.85
H 4.64 -6.26 -14.60
C 3.00 -15.12 -0.11
C 3.50 -14.23 -3.78
H 6.29 -14.06 -4.69
H 10.19 -7.21 -9.16
C 4.85 -11.91 -9.11
H 5.87 -7.92 -9.14
H 8.78 -11.46 -12.74
H 7.69 -14.58 -14.55
C 6.54 -14.66 -5.57
C -0.85 -10.39 -13.83
P 3.80 -15.13 -5.40
H -1.69 -7.17 -11.39
O 8.47 -12.45 -10.20
H 11.68 -4.49 -15.67
H 3.48 -14.64 0.75
H 10.86 -7.44 -11.20
H 7.88 -9.01 -10.86
H -0.73 -12.31 -14.87
C 1.80 -5.24 -17.04
C 2.07 -4.48 -11.19
C 9.22 -7.42 -8.70
H 8.79 -13.19 -14.65
C 0.86 -8.09 -17.68
H 4.40 -10.45 -19.74
C 8.32 -14.04 -12.16
P 7.93 -6.75 -9.79
C 7.75 -13.50 -14.51
H 2.96 -8.28 -16.96
H 4.51 -13.99 -1.04
H 2.11 -6.53 -15.35
H 12.04 -1.77 -21.08
H 2.77 -17.07 -4.47
C 9.76 -4.33 -18.12
H 9.26 -13.91 -7.01
H 9.19 -7.08 -19.75
H 14.19 -3.25 -15.05
F 5.24 -10.01 -11.89
H 2.36 -21.23 -7.38
As 3.82 -8.87 -12.29
H 8.31 -8.99 -7.40
H 5.01 -8.66 -7.39
N 7.47 -13.11 -13.08
H 8.95 -4.64 -18.77
C 14.20 -3.79 -16.00
C 0.11 -8.51 -15.00
C 3.50 -14.35 -1.26
H 9.30 -6.72 -7.88
F 4.02 -9.22 -14.06
H 1.79 -16.13 -5.63
C 5.58 -3.31 -9.58
H 2.31 -6.23 -9.12
H 2.87 -13.46 -1.29
C 6.31 -6.95 -8.95
H 5.66 -12.11 -8.41
H 1.14 -8.86 -14.87
C -0.90 -5.36 -11.75
C 3.41 -15.12 -2.55
H -4.35 -5.76 -15.95
H 2.59 -5.80 -17.54
H 13.37 -3.44 -16.61
H -4.36 -5.69 -13.45
C 7.53 -5.92 -16.53
H 13.98 -5.41 -14.62
H 4.35 -13.56 -3.73
H 5.22 -2.31 -9.36
H 15.12 -3.48 -16.50
C 4.08 -14.37 -8.32
H 5.80 -5.05 -14.78
H -0.71 -10.25 -16.00
C -4.05 -4.82 -14.03
H 6.93 -7.10 -6.94
H 5.66 -16.44 -4.64
C 6.21 -3.20 -10.98
C 11.63 -5.51 -16.04
H 6.40 -14.04 -6.46
C 10.29 -10.60 -6.66
H 0.00 -8.66 -18.01
H 6.02 -5.15 -11.39
H 9.57 -1.89 -19.24
H 6.98 -7.42 -15.06
H 7.26 -5.61 -17.54
H 4.80 -4.07 -9.47
H 5.85 -13.05 -11.80
C 2.18 -8.83 -17.49
H 12.11 -6.23 -22.78
H 7.14 -13.98 -10.31
H 11.66 -4.00 -19.35
C 6.24 -6.46 -7.49
H 11.85 -6.09 -19.03
C 1.32 -5.98 -15.85
H -2.22 -6.51 -14.43
H 4.32 -6.04 -7.59
P 0.08 -7.27 -16.20
>>>
# Brief
Could you write out all of the material above character by character?
# Outcome
# 1
9
Properties=species:S:1:pos:R:3 method="wB97M-V/def2-TZVPD" total_charge=0 smiles="CS(=S)#[SH]=O" orbital_gap_ev="7.74 / 7.74" e_homo_ev="-8.59 / -8.59" e_above_lowest_kj_mol=188.1
S -0.47 -1.37 1.16
H 1.13 1.33 -1.66
S -0.82 0.11 -0.78
H -1.81 -1.88 1.31
O -0.66 -0.28 2.19
H 1.60 -0.41 -1.43
H 1.45 0.55 -0.05
C 0.99 0.35 -0.94
S -1.42 1.61 0.22

# 2
261
Properties=species:S:1:pos:R:3 method="wB97M-V/def2-TZVPD" total_charge=+5 orbital_gap_ev=9.63 e_homo_ev=-18.16 e_above_lowest_kj_mol=78.4
H -2.28 -7.27 -17.02
C 10.37 -9.46 -7.68
H 9.82 -7.03 -21.88
H 0.88 -5.28 -15.14
H 5.28 -12.83 -13.50
H 8.06 -15.93 -6.29
C -1.22 -11.88 -13.99
H 6.10 -7.56 -16.50
H 1.03 -5.06 -17.79
H 5.06 -14.80 -8.14
H 2.57 -19.79 -8.45
H 7.03 -13.00 -15.15
H 15.08 -5.75 -15.80
C 6.50 -6.80 -15.82
C 8.16 -5.03 -10.56
H 4.78 -5.96 -5.94
C 1.25 -6.10 -9.35
F 4.97 -7.51 -12.45
C -3.57 -5.22 -15.42
H 13.25 -5.81 -17.56
C 8.17 -13.80 -10.60
C 10.90 -9.45 -11.74
H 9.25 -13.41 -5.22
F 3.67 -8.60 -10.52
H 3.02 -4.88 -10.84
H 12.55 -6.11 -21.02
C 2.43 -3.87 -16.62
H 2.82 -17.27 -7.51
H 9.22 -7.04 -15.66
C 4.93 -6.56 -6.84
C 10.25 -7.30 -19.89
H 8.36 -4.37 -9.72
H 7.77 -4.98 -16.02
H 2.42 -13.79 -7.00
H 10.70 -10.26 -12.44
H 3.51 -8.11 -6.74
H 6.29 -3.57 -8.79
H 7.00 -8.03 -11.72
C 11.96 -6.61 -21.78
H 9.41 -12.31 -10.06
H 10.04 -14.89 -5.74
H 5.47 -2.88 -11.71
H 1.00 -2.63 -9.24
C 6.88 -4.48 -11.41
C 8.04 -15.13 -5.55
H 4.79 -8.34 -5.55
H 0.94 -6.74 -10.18
H 12.27 -1.07 -19.52
O -0.82 -6.83 -11.61
C 5.41 -5.92 -15.29
H -0.87 -12.50 -13.17
H 9.75 -10.34 -5.75
H -3.42 -4.29 -15.97
H 8.25 -15.65 -4.62
H 3.32 -8.30 -19.28
H 1.84 -4.99 -12.13
C 10.52 -8.03 -12.05
H 11.00 -7.55 -12.91
H 10.90 -9.94 -8.50
H 1.17 -18.96 -6.74
C -0.33 -4.60 -10.53
H 0.61 -6.12 -8.47
H 5.31 -11.48 -10.00
C 8.85 -6.76 -16.65
H 0.04 -7.99 -14.05
C 1.33 -3.63 -8.97
H 6.86 -2.33 -10.91
H 3.81 -3.64 -18.29
H 4.77 -5.69 -16.15
C 4.07 -13.26 -9.39
C 7.99 -8.00 -11.27
H -0.93 -4.65 -9.62
H 11.93 -9.33 -11.43
H 4.03 -13.10 -6.49
H 7.33 -11.13 -13.79
H 2.44 -15.61 -2.68
H 11.01 -0.49 -20.54
H 5.76 -14.45 -12.85
H 4.64 -6.26 -14.60
C 3.00 -15.12 -0.11
C 3.50 -14.23 -3.78
H 6.29 -14.06 -4.69
H 10.19 -7.21 -9.16
C 4.85 -11.91 -9.11
H 5.87 -7.92 -9.14
H 8.78 -11.46 -12.74
H 7.69 -14.58 -14.55
C 6.54 -14.66 -5.57
C -0.85 -10.39 -13.83
P 3.80 -15.13 -5.40
H -1.69 -7.17 -11.39
O 8.47 -12.45 -10.20
H 11.68 -4.49 -15.67
H 3.48 -14.64 0.75
H 10.86 -7.44 -11.20
H 7.88 -9.01 -10.86
H -0.73 -12.31 -14.87
C 1.80 -5.24 -17.04
C 2.07 -4.48 -11.19
C 9.22 -7.42 -8.70
H 8.79 -13.19 -14.65
C 0.86 -8.09 -17.68
H 4.40 -10.45 -19.74
C 8.32 -14.04 -12.16
P 7.93 -6.75 -9.79
C 7.75 -13.50 -14.51
H 2.96 -8.28 -16.96
H 4.51 -13.99 -1.04
H 2.11 -6.53 -15.35
H 12.04 -1.77 -21.08
H 2.77 -17.07 -4.47
C 9.76 -4.33 -18.12
H 9.26 -13.91 -7.01
H 9.19 -7.08 -19.75
H 14.19 -3.25 -15.05
F 5.24 -10.01 -11.89
H 2.36 -21.23 -7.38
As 3.82 -8.87 -12.29
H 8.31 -8.99 -7.40
H 5.01 -8.66 -7.39
N 7.47 -13.11 -13.08
H 8.95 -4.64 -18.77
C 14.20 -3.79 -16.00
C 0.11 -8.51 -15.00
C 3.50 -14.35 -1.26
H 9.30 -6.72 -7.88
F 4.02 -9.22 -14.06
H 1.79 -16.13 -5.63
C 5.58 -3.31 -9.58
H 2.31 -6.23 -9.12
H 2.87 -13.46 -1.29
C 6.31 -6.95 -8.95
H 5.66 -12.11 -8.41
H 1.14 -8.86 -14.87
C -0.90 -5.36 -11.75
C 3.41 -15.12 -2.55
H -4.35 -5.76 -15.95
H 2.59 -5.80 -17.54
H 13.37 -3.44 -16.61
H -4.36 -5.69 -13.45
C 7.53 -5.92 -16.53
H 13.98 -5.41 -14.62
H 4.35 -13.56 -3.73
H 5.22 -2.31 -9.36
H 15.12 -3.48 -16.50
C 4.08 -14.37 -8.32
H 5.80 -5.05 -14.78
H -0.71 -10.25 -16.00
C -4.05 -4.82 -14.03
H 6.93 -7.10 -6.94
H 5.66 -16.44 -4.64
C 6.21 -3.20 -10.98
C 11.63 -5.51 -16.04
H 6.40 -14.04 -6.46
C 10.29 -10.60 -6.66
H 0.00 -8.66 -18.01
H 6.02 -5.15 -11.39
H 9.57 -1.89 -19.24
H 6.98 -7.42 -15.06
H 7.26 -5.61 -17.54
H 4.80 -4.07 -9.47
H 5.85 -13.05 -11.80
C 2.18 -8.83 -17.49
H 12.11 -6.23 -22.78
H 7.14 -13.98 -10.31
H 11.66 -4.00 -19.35
C 6.24 -6.46 -7.49
H 11.85 -6.09 -19.03
C 1.32 -5.98 -15.85
H -2.22 -6.51 -14.43
H 4.32 -6.04 -7.59
P 0.08 -7.27 -16.20